Monday, June 24, 2024
The Tiresome Claim that Pro-Life Legal Measures Violate the Establishment Clause
Recently Caroline Corbin published an article "Religion Clause Challenges to Early Abortion Bans." Larry Solum posted a link to the piece on his blog and on Twitter. In response, Rick Garnett graciously linked to my article "Abortion, Religion, and the Accusation of Establishment" (here). Below is my response on Twitter to Corbin's piece, specifically to her claim that laws recognizing conception as the beginning of the life of a human being violate the Establishment Clause. In the post-Dobbs era one can expect to see abortion proponents more and more frequently claim both a free exercise right to abortion and an establsihment clause limit on abortion restrictions.
What comes next are materials data, not part of the entry
-- begin --
No. 1
Simulated powder XRD pattern of Pm2HoSn6 for Cu Kα (λ = 1.5418 Å), from the GGA-PBE geometry in Alexandria.
Peak positions follow from Bragg's law for the DFT cell and can differ from measured ones.

Principal peaks in the range 2θ from 5° to 70°, in order of rising 2θ:
- 33.0°, d 2.715, I = 95.2
- 33.2°, d 2.699, I = 100.0
- 33.4°, d 2.680, I = 28.5
- 40.2°, d 2.243, I = 36.3
- 41.2°, d 2.192, I = 25.1
- 42.4°, d 2.131, I = 29.6

Atomic structure:
```
data_Pm2HoSn6
_cell_length_a 17.625
_cell_length_b 6.892
_cell_length_c 4.487
_cell_angle_alpha 90.00
_cell_angle_beta 104.70
_cell_angle_gamma 90.00
_space_group_name_H-M_alt 'C 1 m 1'
_space_group_IT_number 8
loop_
_space_group_symop_operation_xyz
'x,y,z'
'x,-y,z'
'x+1/2,y+1/2,z'
'x+1/2,-y+1/2,z'
loop_
_atom_site_label
_atom_site_fract_x
_atom_site_fract_y
_atom_site_fract_z
Pm1 0.000 0.000 0.000
Pm2 0.230 0.000 0.229
Ho1 0.055 0.500 0.056
Sn1 0.121 0.226 0.621
Sn2 0.307 0.288 0.806
Sn3 0.424 0.212 0.423
```

***

No. 2
Simulated powder XRD pattern of AcLa4Er4 for Cu Kα (λ = 1.5418 Å), from the GGA-PBE geometry in Alexandria.
Peak positions follow from Bragg's law for the DFT cell and can differ from measured ones.

Principal peaks in the range 2θ from 5° to 70°, in order of rising 2θ:
- 29.8°, d 3.000, I = 100.0
- 29.9°, d 2.990, I = 99.2
- 34.6°, d 2.594, I = 67.4
- 34.6°, d 2.592, I = 33.6
- 49.8°, d 1.833, I = 36.1
- 59.0°, d 1.565, I = 43.3

Atomic structure:
```
data_AcLa4Er4
_cell_length_a 6.346
_cell_length_b 9.709
_cell_length_c 10.993
_cell_angle_alpha 100.61
_cell_angle_beta 106.67
_cell_angle_gamma 96.39
_space_group_name_H-M_alt 'P -1'
_space_group_IT_number 2
loop_
_space_group_symop_operation_xyz
'x,y,z'
'-x,-y,-z'
loop_
_atom_site_label
_atom_site_fract_x
_atom_site_fract_y
_atom_site_fract_z
Ac1 0.249 0.082 0.302
La1 0.248 0.744 0.081
La2 0.250 0.742 0.753
La3 0.251 0.416 0.530
La4 0.253 0.087 0.643
Er1 0.239 0.742 0.413
Er2 0.250 0.422 0.191
Er3 0.251 0.415 0.865
Er4 0.256 0.085 0.973
```

***

No. 3
Simulated powder XRD pattern of Ce2U2O9 for Cu Kα (λ = 1.5418 Å), from the GGA-PBE geometry in Alexandria.
Peak positions follow from Bragg's law for the DFT cell and can differ from measured ones.

Principal peaks in the range 2θ from 5° to 70°, in order of rising 2θ:
- 28.5°, d 3.129, I = 100.0
- 33.0°, d 2.712, I = 26.0
- 33.1°, d 2.704, I = 11.7
- 47.5°, d 1.916, I = 54.1
- 56.3°, d 1.635, I = 31.2
- 56.4°, d 1.631, I = 13.3

Atomic structure:
```
data_Ce2U2O9
_cell_length_a 5.425
_cell_length_b 5.425
_cell_length_c 10.814
_cell_angle_alpha 90.00
_cell_angle_beta 90.00
_cell_angle_gamma 90.00
_space_group_name_H-M_alt 'I 4/m m m'
_space_group_IT_number 139
_space_group_name_Hall '-I 4 2'
loop_
_atom_site_label
_atom_site_fract_x
_atom_site_fract_y
_atom_site_fract_z
Ce1 0.000 0.000 0.232
U1 0.000 0.500 0.000
O1 0.000 0.000 0.000
O2 0.235 0.235 0.376
```

***

No. 4
Simulated powder XRD pattern of Pr2Nd4Hg for Cu Kα (λ = 1.5418 Å), from the GGA-PBE geometry in Alexandria.
-- stop --
Back to the entry
The Establishment Clause claim is tiresome. The claim that legislation outlawing abortion is inherently religious and so violates EC is a mere assertion – an oft-repeated assertion, but one that has not gained intellectual substance with repetition.
Corbin’s paper is full of assertion, but not argument. She merely asserts that the Harris v. McRae line of reasoning (i.e. laws which coincide with religious tenets are not unconstitutional) is “not persuasive” (p. 47). She asserts that, unlike laws against theft and murder, there is no “genuine and legitimate secular reason” to outlaw abortion based on the premise that the life of a human being begins at conception. Hedging her bets, she asserts that “ostensible secular reasons usually collapse back into the religious assumption.” Of course, if these reasons “usually collapse” into religion but not always, then laws outlawing abortion can be supported by secular reasons. But she leaves this unexplored.
Plainly, her assertions are merely that, not conclusions demonstrated by argument. Nowhere does she consider the scientific foundation for the premise that the life of a human being begins at conception – a premise located in the basic texts of embryology. That people may also find support for this in the Bible, well, that’s Harris.
Corbin cites Sherry Colb for the idea that a proposition is “a religious not a scientific belief” if it is supported by religious people and not by “virtually every secular person” (p. 44). She does not pause to consider the significance of the qualification “virtually.” Moreover, the identity of a person – or the label placed upon them -- does not demonstrate the nature of the idea itself (i.e. religious people hold scientific beliefs, and scientists hold religious beliefs). This would require an argument based on epistemology that Corbin does not provide.
The 1964 Civil Rights Act would not have passed without the well-organized support of religious leaders including many Black Christian ministers. Indeed, their very vocal support was explicitly Christian. But that did not render the law or the idea of non-discrimination “religious” and so constitutionally out-of-bounds.
Corbin refers to Lemon v. Kurtzman (p. 43) for the idea that to be constitutional a law must have a secular purpose, but then fails to distinguish between a legislator’s motive and the legislation’s purpose. A legislator may be religiously motivated to vote in favor of a lower speed limit or more immigration or increased spending for public schools, but that does not make the purpose of these legislative acts “religious” in nature. Indeed, a lawmaker may be religiously motivated to vote in favor of laws that support the non-establishment of religion, but that does make the purpose of the legislation “religious.” Laws against abortion may or may not be supported by a particular legislator’s religious motivation, but laws extending the prohibition against homicide to human beings in the womb are firmly supported by a sound, secular rationale.